-- Material --
Entry 1:
This record from the OMol25 dataset describes a molecular structure, C14H28Cl14F6MgN3O12S6 at a distorted geometry. The level of theory is ωB97M-V with the def2-TZVPD basis set.

```
84
Properties=species:S:1:pos:R:3:mulliken_charge:R:1
Mg 14.30083 7.65070 -10.55234 1.7868
N 13.74852 8.30419 -13.03241 -0.1045
S 14.21305 9.57719 -13.87916 0.9114
O 13.17633 10.63097 -14.00208 -0.5454
O 15.22667 9.39751 -14.91476 -0.5095
F 14.98897 10.21263 -12.62756 -0.3013
S 12.98773 7.63492 -14.50135 0.8992
O 13.85719 6.49765 -14.95818 -0.5250
O 12.16236 8.41469 -15.45295 -0.4569
F 11.81565 6.93255 -13.65147 -0.2348
N 14.20777 8.23982 -7.95957 0.0882
S 13.76713 9.64472 -7.13454 0.8280
O 14.80309 10.58936 -6.72344 -0.4462
O 12.44591 9.65791 -6.54309 -0.4823
F 13.31543 10.24335 -8.59692 -0.3590
S 14.29872 7.46894 -6.64518 0.7581
O 13.14030 6.61332 -6.35716 -0.5463
O 15.20493 7.86184 -5.55504 -0.4536
F 15.13955 6.36448 -7.44942 -0.3412
N 13.12446 2.79981 -12.80296 -0.3246
S 12.81029 3.10861 -11.10494 1.0106
O 11.80685 2.39107 -10.32921 -0.5028
O 13.13588 4.48235 -10.89152 -0.5550
F 14.09079 2.31535 -10.57895 -0.2580
S 11.89838 1.82757 -12.87007 1.1728
O 10.63576 2.51272 -12.92035 -0.6040
O 12.02778 0.44897 -12.34212 -0.6143
F 12.10143 1.53199 -14.45661 -0.3142
Cl 15.45698 12.19188 -2.53282 -0.1803
C 15.09754 10.55153 -1.95589 -0.2122
C 16.34678 9.85514 -1.51265 -0.4828
Cl 16.91667 10.55027 0.00157 -0.1973
H 14.73634 9.93794 -2.78120 0.1304
H 14.43578 10.59847 -1.09103 0.3330
H 17.13227 10.09945 -2.22778 0.2809
H 16.31121 8.76610 -1.48400 0.3303
Cl 18.48650 3.34151 -6.50136 -0.1828
C 18.71915 4.07005 -4.92094 -0.3789
C 18.06172 3.33088 -3.77526 -0.4347
Cl 16.31131 3.42666 -3.85516 -0.1510
H 18.43237 5.11728 -5.01668 0.2807
H 19.80362 4.15189 -4.84792 0.2948
H 18.32299 3.74858 -2.80296 0.2924
H 18.21230 2.25276 -3.83057 0.2884
Cl 19.01971 9.12236 -7.98015 -0.1679
C 19.23805 10.88406 -7.98405 -0.3748
C 19.94510 11.36156 -9.20945 -0.4522
Cl 19.17763 10.84561 -10.74442 -0.1719
H 19.66209 11.25191 -7.04972 0.3269
H 18.24259 11.32346 -8.04799 0.2075
H 20.94242 10.92222 -9.18867 0.3244
H 20.01875 12.44892 -9.22748 0.3172
Cl 12.69300 15.37662 -9.82558 -0.1954
C 13.35622 14.38826 -11.11338 -0.3247
C 13.15588 15.04076 -12.52428 -0.3586
Cl 13.94399 16.61493 -12.57781 -0.2034
H 12.78905 13.45801 -11.08098 0.2354
H 14.35312 14.17175 -10.72944 0.2768
H 12.13177 15.37118 -12.69784 0.3008
H 13.63306 14.49023 -13.33503 0.2700
Cl 10.81095 -0.07294 -5.45269 -0.1848
C 11.97307 1.19582 -5.32645 -0.3317
C 11.24976 2.39131 -4.52540 -0.3751
Cl 10.93318 1.95127 -2.82277 -0.1968
H 12.36470 1.49144 -6.29977 0.2782
H 12.83204 0.73854 -4.83537 0.2654
H 10.29760 2.62210 -5.00313 0.3242
H 11.80636 3.32775 -4.48875 0.2199
Cl 10.05186 12.52760 -1.30757 -0.1806
C 8.60718 12.40418 -2.26155 -0.4207
C 8.59769 11.25008 -3.20309 -0.3352
Cl 7.11614 11.18277 -4.07335 -0.1935
H 8.51081 13.29715 -2.87914 0.2927
H 7.72219 12.35919 -1.62683 0.3054
H 8.68418 10.32401 -2.63473 0.3043
H 9.30794 11.27093 -4.02966 0.2302
Cl 17.37401 15.33883 -8.39348 -0.2319
C 16.97376 15.51305 -6.62944 -0.4057
C 16.99899 16.99055 -6.39172 -0.3754
Cl 16.24249 17.31539 -4.81505 -0.2073
H 17.73326 14.91015 -6.13167 0.2998
H 15.98579 15.05289 -6.61327 0.3047
H 16.42496 17.53519 -7.14136 0.3219
H 18.03566 17.30489 -6.27094 0.2952
```

The LUMO energy is -3.35 eV. Its frontier orbital gap is 0.139 Ha. Its HOMO energy is -7.13 eV. The value obtained for the largest force on an atom is 10.95 eV/A. As for the charge: -1.

=====

Entry 2:
This record from the OMol25 dataset describes 2 unconnected molecules or ions with the total composition C14H28FNO4. The level of theory is ωB97M-V with the def2-TZVPD basis set.

```
48
Properties=species:S:1:pos:R:3:nbo_charge:R:1
C -3.49385 2.77228 -0.38778 -0.6253
C -2.68353 1.69007 -1.13957 -0.4548
C -2.28418 0.47370 -0.28097 0.2205
C -0.87636 0.56409 0.28407 -0.4281
C -0.55173 1.77420 1.17838 -0.3909
C -0.62265 1.56851 2.70392 -0.2114
C -2.05848 1.61145 3.23979 -0.6101
-- To do --
Quote only the last part of the contents further up, starting with the line that has "-14.95818 -0.5250", please.
-- Reply --
O 13.85719 6.49765 -14.95818 -0.5250
O 12.16236 8.41469 -15.45295 -0.4569
F 11.81565 6.93255 -13.65147 -0.2348
N 14.20777 8.23982 -7.95957 0.0882
S 13.76713 9.64472 -7.13454 0.8280
O 14.80309 10.58936 -6.72344 -0.4462
O 12.44591 9.65791 -6.54309 -0.4823
F 13.31543 10.24335 -8.59692 -0.3590
S 14.29872 7.46894 -6.64518 0.7581
O 13.14030 6.61332 -6.35716 -0.5463
O 15.20493 7.86184 -5.55504 -0.4536
F 15.13955 6.36448 -7.44942 -0.3412
N 13.12446 2.79981 -12.80296 -0.3246
S 12.81029 3.10861 -11.10494 1.0106
O 11.80685 2.39107 -10.32921 -0.5028
O 13.13588 4.48235 -10.89152 -0.5550
F 14.09079 2.31535 -10.57895 -0.2580
S 11.89838 1.82757 -12.87007 1.1728
O 10.63576 2.51272 -12.92035 -0.6040
O 12.02778 0.44897 -12.34212 -0.6143
F 12.10143 1.53199 -14.45661 -0.3142
Cl 15.45698 12.19188 -2.53282 -0.1803
C 15.09754 10.55153 -1.95589 -0.2122
C 16.34678 9.85514 -1.51265 -0.4828
Cl 16.91667 10.55027 0.00157 -0.1973
H 14.73634 9.93794 -2.78120 0.1304
H 14.43578 10.59847 -1.09103 0.3330
H 17.13227 10.09945 -2.22778 0.2809
H 16.31121 8.76610 -1.48400 0.3303
Cl 18.48650 3.34151 -6.50136 -0.1828
C 18.71915 4.07005 -4.92094 -0.3789
C 18.06172 3.33088 -3.77526 -0.4347
Cl 16.31131 3.42666 -3.85516 -0.1510
H 18.43237 5.11728 -5.01668 0.2807
H 19.80362 4.15189 -4.84792 0.2948
H 18.32299 3.74858 -2.80296 0.2924
H 18.21230 2.25276 -3.83057 0.2884
Cl 19.01971 9.12236 -7.98015 -0.1679
C 19.23805 10.88406 -7.98405 -0.3748
C 19.94510 11.36156 -9.20945 -0.4522
Cl 19.17763 10.84561 -10.74442 -0.1719
H 19.66209 11.25191 -7.04972 0.3269
H 18.24259 11.32346 -8.04799 0.2075
H 20.94242 10.92222 -9.18867 0.3244
H 20.01875 12.44892 -9.22748 0.3172
Cl 12.69300 15.37662 -9.82558 -0.1954
C 13.35622 14.38826 -11.11338 -0.3247
C 13.15588 15.04076 -12.52428 -0.3586
Cl 13.94399 16.61493 -12.57781 -0.2034
H 12.78905 13.45801 -11.08098 0.2354
H 14.35312 14.17175 -10.72944 0.2768
H 12.13177 15.37118 -12.69784 0.3008
H 13.63306 14.49023 -13.33503 0.2700
Cl 10.81095 -0.07294 -5.45269 -0.1848
C 11.97307 1.19582 -5.32645 -0.3317
C 11.24976 2.39131 -4.52540 -0.3751
Cl 10.93318 1.95127 -2.82277 -0.1968
H 12.36470 1.49144 -6.29977 0.2782
H 12.83204 0.73854 -4.83537 0.2654
H 10.29760 2.62210 -5.00313 0.3242
H 11.80636 3.32775 -4.48875 0.2199
Cl 10.05186 12.52760 -1.30757 -0.1806
C 8.60718 12.40418 -2.26155 -0.4207
C 8.59769 11.25008 -3.20309 -0.3352
Cl 7.11614 11.18277 -4.07335 -0.1935
H 8.51081 13.29715 -2.87914 0.2927
H 7.72219 12.35919 -1.62683 0.3054
H 8.68418 10.32401 -2.63473 0.3043
H 9.30794 11.27093 -4.02966 0.2302
Cl 17.37401 15.33883 -8.39348 -0.2319
C 16.97376 15.51305 -6.62944 -0.4057
C 16.99899 16.99055 -6.39172 -0.3754
Cl 16.24249 17.31539 -4.81505 -0.2073
H 17.73326 14.91015 -6.13167 0.2998
H 15.98579 15.05289 -6.61327 0.3047
H 16.42496 17.53519 -7.14136 0.3219
H 18.03566 17.30489 -6.27094 0.2952
```

The LUMO energy is -3.35 eV. Its frontier orbital gap is 0.139 Ha. Its HOMO energy is -7.13 eV. The value obtained for the largest force on an atom is 10.95 eV/A. As for the charge: -1.

=====

Entry 2:
This record from the OMol25 dataset describes 2 unconnected molecules or ions with the total composition C14H28FNO4. The level of theory is ωB97M-V with the def2-TZVPD basis set.

```
48
Properties=species:S:1:pos:R:3:nbo_charge:R:1
C -3.49385 2.77228 -0.38778 -0.6253
C -2.68353 1.69007 -1.13957 -0.4548
C -2.28418 0.47370 -0.28097 0.2205
C -0.87636 0.56409 0.28407 -0.4281
C -0.55173 1.77420 1.17838 -0.3909
C -0.62265 1.56851 2.70392 -0.2114
C -2.05848 1.61145 3.23979 -0.6101